• Wanted:
Next, give back all of the material below verbatim.

• Contents:
No. 1
{"formula": "C19H19FMoN5O4", "method": "ωB97M-V/def2-TZVPD", "lumo_ev": [-10.89, -10.38], "charge": 3, "s_squared": 2.018, "orbital_gap_ev": [5.9, 6.4], "multiplicity": 3, "symbols": ["Mo", "F", "C", "C", "C", "C", "O", "C", "C", "N", "C", "C", "C", "C", "C", "C", "N", "C", "C", "N", "C", "C", "C", "O", "O", "H", "H", "H", "H", "H", "H", "H", "H", "H", "H", "H", "H", "H", "H", "H", "H", "H", "H", "N", "C", "H", "O", "C", "N"], "xyz": [[0.3550, -0.9777, 0.5020], [-5.7562, 1.5977, 1.9000], [-4.7667, 1.3926, 2.7769], [-3.6097, 0.8414, 2.3335], [-2.5158, 0.6944, 3.2130], [-1.2774, 0.1321, 2.7917], [-1.1660, -0.3171, 1.5558], [-0.2293, 0.0625, 3.7115], [-0.4481, 0.4909, 5.0167], [-1.5922, 1.0128, 5.4226], [-1.7540, 1.3789, 6.8300], [-1.7695, 2.8293, 7.2175], [-0.6024, 1.9622, 7.5835], [-2.6632, 1.1469, 4.5430], [-3.8762, 1.6899, 4.9831], [-4.9617, 1.8200, 4.1250], [-6.1561, 2.3699, 4.5276], [-6.2572, 3.2709, 5.6588], [-7.1162, 4.4753, 5.2874], [-8.4628, 4.0238, 4.7935], [-8.3375, 3.0496, 3.6516], [-7.4645, 1.8920, 4.1012], [1.1259, -0.4493, 3.4056], [2.0110, -0.6101, 4.1736], [1.2777, -0.7282, 2.0627], [-3.5251, 0.5541, 1.2950], [0.3408, 0.3949, 5.7516], [-2.4127, 0.6882, 7.3420], [-2.4597, 3.1317, 7.9927], [-1.6036, 3.5565, 6.4341], [-0.4873, 1.6400, 8.6075], [0.3286, 2.1550, 7.0700], [-3.9726, 1.9744, 6.0176], [-5.2782, 3.6525, 5.9420], [-6.6808, 2.7575, 6.5317], [-6.6649, 5.0430, 4.4742], [-7.2745, 5.1303, 6.1430], [-9.0172, 4.8357, 4.5059], [-8.9812, 3.5831, 5.5604], [-7.8884, 3.5925, 2.8205], [-9.3391, 2.7222, 3.3774], [-7.3907, 1.1636, 3.3020], [-7.9419, 1.3830, 4.9496], [-1.9812, -2.5589, -1.3101], [-1.2055, -1.9674, -0.7075], [-2.6547, -3.0536, -1.8782], [2.9210, -0.8417, -2.8500], [2.2213, -0.8831, -1.9569], [1.4555, -0.9371, -0.9861]], "atomic_forces_ev_per_a": [[0.3, 0.0, -0.3], [0.0, 0.0, 0.0], [0.1, 0.0, 0.0], [0.0, 0.0, 0.0], [0.0, 0.0, 0.1], [0.1, 0.1, 0.3], [-0.1, 0.1, -0.2], [-0.1, 0.1, 0.1], [0.0, 0.0, -0.1], [0.0, 0.0, -0.1], [0.0, 0.0, 0.1], [0.0, 0.0, 0.0], [0.0, 0.0, 0.0], [0.0, 0.0, -0.1], [0.0, -0.1, -0.1], [0.2, -0.2, 0.1], [0.0, 0.2, -0.2], [0.0, 0.0, 0.1], [0.0, 0.0, 0.0], [-0.1, 0.0, 0.0], [0.0, 0.0, 0.0], [0.0, -0.1, 0.0], [0.0, 0.0, 0.0], [-0.1, 0.1, -0.1], [0.3, -0.2, 0.4], [0.0, 0.0, 0.0], [0.0, 0.0, 0.0], [0.0, 0.0, 0.0], [0.0, 0.0, 0.0], [0.0, 0.0, 0.0], [0.0, 0.0, 0.0], [0.0, 0.0, 0.0], [0.0, 0.0, 0.0], [0.0, 0.0, 0.0], [0.0, 0.0, 0.0], [0.0, 0.0, 0.0], [0.0, 0.0, 0.0], [0.0, 0.0, 0.0], [0.0, 0.0, 0.0], [0.0, 0.0, 0.0], [0.0, 0.0, 0.0], [0.0, 0.0, 0.0], [0.0, 0.0, 0.0], [0.3, 0.3, 0.1], [-0.6, -0.4, -0.3], [0.0, 0.0, 0.0], [0.0, 0.0, 0.1], [0.1, 0.1, -0.4], [-0.2, 0.0, 0.4]]}


No. 2

• Response:
No. 1
{"formula": "C19H19FMoN5O4", "method": "ωB97M-V/def2-TZVPD", "lumo_ev": [-10.89, -10.38], "charge": 3, "s_squared": 2.018, "orbital_gap_ev": [5.9, 6.4], "multiplicity": 3, "symbols": ["Mo", "F", "C", "C", "C", "C", "O", "C", "C", "N", "C", "C", "C", "C", "C", "C", "N", "C", "C", "N", "C", "C", "C", "O", "O", "H", "H", "H", "H", "H", "H", "H", "H", "H", "H", "H", "H", "H", "H", "H", "H", "H", "H", "N", "C", "H", "O", "C", "N"], "xyz": [[0.3550, -0.9777, 0.5020], [-5.7562, 1.5977, 1.9000], [-4.7667, 1.3926, 2.7769], [-3.6097, 0.8414, 2.3335], [-2.5158, 0.6944, 3.2130], [-1.2774, 0.1321, 2.7917], [-1.1660, -0.3171, 1.5558], [-0.2293, 0.0625, 3.7115], [-0.4481, 0.4909, 5.0167], [-1.5922, 1.0128, 5.4226], [-1.7540, 1.3789, 6.8300], [-1.7695, 2.8293, 7.2175], [-0.6024, 1.9622, 7.5835], [-2.6632, 1.1469, 4.5430], [-3.8762, 1.6899, 4.9831], [-4.9617, 1.8200, 4.1250], [-6.1561, 2.3699, 4.5276], [-6.2572, 3.2709, 5.6588], [-7.1162, 4.4753, 5.2874], [-8.4628, 4.0238, 4.7935], [-8.3375, 3.0496, 3.6516], [-7.4645, 1.8920, 4.1012], [1.1259, -0.4493, 3.4056], [2.0110, -0.6101, 4.1736], [1.2777, -0.7282, 2.0627], [-3.5251, 0.5541, 1.2950], [0.3408, 0.3949, 5.7516], [-2.4127, 0.6882, 7.3420], [-2.4597, 3.1317, 7.9927], [-1.6036, 3.5565, 6.4341], [-0.4873, 1.6400, 8.6075], [0.3286, 2.1550, 7.0700], [-3.9726, 1.9744, 6.0176], [-5.2782, 3.6525, 5.9420], [-6.6808, 2.7575, 6.5317], [-6.6649, 5.0430, 4.4742], [-7.2745, 5.1303, 6.1430], [-9.0172, 4.8357, 4.5059], [-8.9812, 3.5831, 5.5604], [-7.8884, 3.5925, 2.8205], [-9.3391, 2.7222, 3.3774], [-7.3907, 1.1636, 3.3020], [-7.9419, 1.3830, 4.9496], [-1.9812, -2.5589, -1.3101], [-1.2055, -1.9674, -0.7075], [-2.6547, -3.0536, -1.8782], [2.9210, -0.8417, -2.8500], [2.2213, -0.8831, -1.9569], [1.4555, -0.9371, -0.9861]], "atomic_forces_ev_per_a": [[0.3, 0.0, -0.3], [0.0, 0.0, 0.0], [0.1, 0.0, 0.0], [0.0, 0.0, 0.0], [0.0, 0.0, 0.1], [0.1, 0.1, 0.3], [-0.1, 0.1, -0.2], [-0.1, 0.1, 0.1], [0.0, 0.0, -0.1], [0.0, 0.0, -0.1], [0.0, 0.0, 0.1], [0.0, 0.0, 0.0], [0.0, 0.0, 0.0], [0.0, 0.0, -0.1], [0.0, -0.1, -0.1], [0.2, -0.2, 0.1], [0.0, 0.2, -0.2], [0.0, 0.0, 0.1], [0.0, 0.0, 0.0], [-0.1, 0.0, 0.0], [0.0, 0.0, 0.0], [0.0, -0.1, 0.0], [0.0, 0.0, 0.0], [-0.1, 0.1, -0.1], [0.3, -0.2, 0.4], [0.0, 0.0, 0.0], [0.0, 0.0, 0.0], [0.0, 0.0, 0.0], [0.0, 0.0, 0.0], [0.0, 0.0, 0.0], [0.0, 0.0, 0.0], [0.0, 0.0, 0.0], [0.0, 0.0, 0.0], [0.0, 0.0, 0.0], [0.0, 0.0, 0.0], [0.0, 0.0, 0.0], [0.0, 0.0, 0.0], [0.0, 0.0, 0.0], [0.0, 0.0, 0.0], [0.0, 0.0, 0.0], [0.0, 0.0, 0.0], [0.0, 0.0, 0.0], [0.0, 0.0, 0.0], [0.3, 0.3, 0.1], [-0.6, -0.4, -0.3], [0.0, 0.0, 0.0], [0.0, 0.0, 0.1], [0.1, 0.1, -0.4], [-0.2, 0.0, 0.4]]}


No. 2